Job:
Next, work out how many lines further down have the word "Alexandria" in them; a number is enough.
File:
<<<
A geometry-optimized Cs2NiIF6 structure, computed with GGA+U.

Summary:
Calculated total energy, eV/cell: -74.61
M_tot, μB/atom: 0.100

a = 6.923 Å, b = 6.923 Å, c = 8.573 Å
α = 90.00°, β = 90.00°, γ = 90.00°
Space group I4/mmm (No. 139)
Inequivalent atoms, fractional coordinates:
Cs1 0.000 0.500 0.250
Ni1 0.000 0.000 0.000
I1 0.000 0.000 0.500
F1 0.000 0.000 0.257
F2 0.196 0.196 0.000

~~~~~

# Sr2TlCrF8 | the Alexandria database | GGA+U | optimized geometry
data_Sr2TlCrF8
_chemical_formula_sum 'Sr2 Tl1 Cr1 F8'
_space_group_name_H-M_alt 'P 1 2/m 1'
_space_group_IT_number 10
_cell_length_a 4.529
_cell_length_b 8.025
_cell_length_c 5.489
_cell_angle_alpha 90.00
_cell_angle_beta 99.30
_cell_angle_gamma 90.00
loop_
_space_group_symop_operation_xyz
'x,y,z'
'-x,-y,-z'
'-x,y,-z'
'x,-y,z'
loop_
_atom_site_label
_atom_site_type_symbol
_atom_site_fract_x
_atom_site_fract_y
_atom_site_fract_z
Sr1 Sr 0.000 0.243 0.000
Tl1 Tl 0.500 0.500 0.500
Cr1 Cr 0.500 0.000 0.500
F1 F 0.062 0.500 0.778
F2 F 0.111 0.000 0.285
>>>
Written answer:
1